Mental health problems are quite pervasive in our society. For example, it has been found that generalized anxiety disorder may have a lifetime prevalence rate of about 5% in the population ( And that is only one of the 52 disorders classified on that website. I’m not going to deal with such specific diseases, but mostly with general mood and mental energy issues – especially because the importance of food and nutrition for mental health can be considerable.
Let’s take a look at the known mental health effects of vitamin deficiencies. Such information has been around for quite a long time. Although I usually focus on whole foods, this time I thought it was time we put this scientific information detail together as much as possible, so here goes. First, a look at vitamin deficiencies.
A deficiency of the B vitamins (thiamine, niacin, biotin, B6, folic acid, and B12), most commonly found in whole grains and in animal protein, can cause a great deal of trouble. Lack of thiamine, for example, may bring beriberi, the classic disease resulting from the extensive use of polished rice, and which includes damage to the nervous system, apathy, poor short term memory, confusion, and irritability.
Misplaced molecular data =
<<<
# 1
C5H10N3S2 | ωB97M-V/def2-TZVPD

The geometry in XYZ format:
```
20
Properties=species:S:1:pos:R:3:mulliken_charge:R:1
C -0.097 1.536 -2.941 -0.791
C -1.145 1.084 -1.762 -0.257
S -1.210 -0.823 -1.743 -0.058
C -1.527 -1.217 0.075 -0.658
C -0.309 -0.716 1.050 0.205
N -0.141 0.491 1.946 0.172
N 1.093 0.473 2.621 -0.474
C 1.747 -0.815 2.150 0.356
S 3.460 -1.382 2.770 -0.169
N 0.922 -1.589 1.146 -0.119
H 0.873 1.999 -2.425 0.245
H -0.671 2.336 -3.607 0.256
H 0.200 0.577 -3.585 0.267
H -0.779 1.488 -0.720 0.128
H -2.247 1.421 -2.029 0.353
H -1.559 -2.407 0.160 0.344
H -2.563 -0.751 0.438 0.343
H -0.884 1.218 2.028 0.322
H 3.751 -0.444 3.803 0.240
H 1.086 -2.480 0.625 0.295
```

Kohn-Sham gap   8.17 eV
2S+1   1
Highest occupied orbital energy   -12.64 eV
SMILES   CCSCc1[nH]nc(S)[nH+]1
Total charge   +1
Relative energy (zero: lowest compared OMol25 entry of this formula, charge and spin)   125.4 kcal/mol

# 2
C72H83BFN13O6 | ωB97M-V/def2-TZVPD

The geometry in XYZ format:
```
176
Properties=species:S:1:pos:R:3:mulliken_charge:R:1
C 3.928 -4.571 -1.691 -0.438
C 3.941 -5.733 -2.698 -0.514
C 3.610 -5.352 -4.147 -0.634
N 2.191 -5.468 -4.489 -0.297
C 1.315 -4.483 -3.992 0.070
F 1.046 -4.766 -2.667 -0.050
O 0.082 -4.583 -4.699 -0.433
C -0.501 -3.353 -4.809 -0.784
O -1.498 -3.184 -5.462 -0.563
C 0.316 -2.337 -4.039 1.651
C -0.168 -2.117 -2.590 -1.303
B 0.331 -0.728 -2.021 0.723
O -0.131 0.491 -2.475 -0.209
O 1.232 -0.716 -0.979 -0.773
C 1.687 -2.987 -4.141 0.002
O 2.221 -2.900 -5.459 -0.546
C 2.335 -1.586 -5.996 -0.733
C 3.239 -0.658 -5.218 -0.322
O 2.572 -0.187 -4.057 0.164
C 3.417 0.547 -3.178 -0.636
C 4.175 -0.361 -2.217 -1.172
H 4.311 -3.658 -2.153 -0.092
H 2.940 -4.402 -1.263 0.097
H 4.593 -4.817 -0.864 0.344
H 3.259 -6.523 -2.375 0.270
H 4.952 -6.151 -2.694 0.346
H 4.017 -4.355 -4.359 0.184
H 4.129 -6.042 -4.815 0.553
H 2.042 -5.595 -5.478 0.354
H 0.280 -1.365 -4.525 0.700
H 0.150 -2.904 -1.914 0.230
H -1.265 -2.120 -2.599 0.159
H -0.313 0.514 -3.422 0.161
H 1.873 -0.005 -1.078 0.082
H 2.420 -2.633 -3.412 0.186
H 1.358 -1.113 -6.127 0.310
H 2.760 -1.711 -6.994 0.403
H 3.465 0.181 -5.883 0.157
H 4.184 -1.166 -4.985 0.362
H 4.132 1.126 -3.777 0.525
H 2.767 1.237 -2.635 0.291
H 3.519 -0.780 -1.452 0.316
H 4.647 -1.183 -2.760 0.284
H 4.964 0.206 -1.720 0.488
N 1.468 2.176 2.156 -0.415
C 0.749 1.742 1.119 -0.397
C -0.207 2.516 0.475 -0.592
C -0.436 3.802 0.939 -0.435
C 0.300 4.264 2.020 -0.357
C 1.238 3.414 2.584 -0.512
H 0.945 0.726 0.800 0.860
H -0.757 2.109 -0.363 0.427
H -1.183 4.433 0.473 0.501
H 0.149 5.256 2.424 0.516
H 1.830 3.738 3.434 0.455
N 5.988 -6.438 0.719 -0.442
C 6.503 -6.092 1.897 -0.187
C 6.180 -6.720 3.090 -0.453
C 5.268 -7.763 3.061 -0.189
C 4.722 -8.134 1.842 -0.660
C 5.114 -7.442 0.706 0.084
H 7.209 -5.269 1.881 0.360
H 6.630 -6.395 4.018 0.366
H 4.987 -8.277 3.971 0.392
H 4.006 -8.941 1.771 0.380
H 4.708 -7.702 -0.266 0.368
N -1.520 2.942 7.825 -0.530
C -0.202 2.842 7.664 -0.512
C 0.401 2.484 6.468 -0.444
C -0.408 2.228 5.373 0.375
>>>
Insufficient niacin may cause depression, apathy, fatigue, loss of memory, and headache, found in pellagra, a common condition in the 19th Century with the consumption of plain cornmeal (instead of the traditional preparation with lime and wood ash). We should be careful about eating uncooked egg whites with interfere with the absorption of biotin, as insufficient biotin brings about depression and lethargy.
Depression, confusion, abnormal brain wave patterns may be the result of insufficient B6. On the other hand, too much is no good either, as an excess of this vitamin also creates depression, fatigue, irritability, and headaches.
Lack of folic acid (folate), besides being associated with the birth defect of spina bifida, may also set the stage for depression, mental confusion, weakness, fatigue, irritability, headache. Same story with insufficient B12: depression, memory problems, paranoia.
Both lack of vitamin C and lack of vitamin D have been found to cause hysteria, depression, and in case of the latter, it may be a contributor to Seasonal Affective Disorder (SAD) and falls in the elderly. The former is found in all fruits and vegetables; the latter is manufactured by the body with the help of sunshine on the skin (without sunscreen, of course!) – and found in cod liver oil, caviar, shiitake mushrooms, and parsley.
Additionally, a low intake of minerals is also known to contribute to depressed feelings, including insufficient calcium, iron, magnesium, selenium and zinc.
Insufficient amounts of any of the three macronutrients, which are protein, carbohydrates, and fats, can contribute to unsteady mental health. Thus, dieting and restricted eating, in which the intake of protein or fat is curtailed, may be another major factor.
Considerable research has shown that Omega-3 fatty acids can be really helpful to combat depression, so consuming plenty of fatty fish such as mackerel, sardines, and wild salmon (including the skin!), as well as walnuts and ground flaxseeds would provide those essential fats.
Among the most important elements of our mental functioning are the neurotransmitters, also called neuropeptides. These are molecules that carry thought or emotion, and have a major influence on our mental states. They are created not just in the mind but in many different areas of the body, including the entire digestive system. The neurotransmitters are made from amino acids, which are found in protein foods.
Best known are dopamine and norepinephrine, made from the amino acids tyrosine and phenylalanine; these are the energizing neurotransmitters. Then there is the famous serotonin, the calming one, derived from the amino acid tryptophan. Interestingly, the body absorbs more serotonin in the presence of carbohydrates, while it utilizes more dopamine and norepinephrine when protein foods are consumed.
So, for energy and attention, protein foods are the best choice. For relaxation, carbohydrates will work best. BUT – too many carbs will skew the system towards too much calm, which may move into further extremes of despondency or even depression. That is what happens when people eat too many sweets.
### Inserted here: quantum chemistry results
<<<
Formula: C17H27N2O7
Source: OMol25
Level of theory: the ωB97M-V functional and the def2-TZVPD basis

The geometry in ORCA input format:
```
! wB97M-V def2-TZVPD RIJCOSX def2/J DEFGRID3
* xyz -1 1
C -2.8805 -1.4809 3.0913
C -2.8930 -1.1379 1.6298
O -1.6121 -0.5197 1.3186
C -1.5866 -0.2274 0.0114
O -2.5843 -0.3031 -0.6834
N -0.3014 0.1564 -0.4985
N -0.2242 0.0984 -1.8131
C -0.3701 -1.2174 -2.2207
O -0.3127 -2.2286 -1.5151
O -0.5574 -1.2227 -3.5583
C -0.7596 -2.5446 -4.1128
C -1.3274 -2.3736 -5.5038
C 0.8179 0.6740 0.2024
C 1.6322 -0.6256 0.3921
O 2.5242 -0.9746 -0.3555
O 1.1612 -1.3638 1.4137
C 1.4096 -2.7916 1.2875
C 0.7992 -3.4262 2.5078
C 0.4797 1.3124 1.5445
C -0.4152 2.5489 1.5326
C -0.1387 3.6145 0.4737
C 1.2036 4.3558 0.6484
C 2.3793 3.9002 -0.2070
C 2.7737 2.4254 -0.0548
C 1.7380 1.5096 -0.7400
O 1.6936 1.5566 -1.9424
H -3.8117 -1.9918 3.3590
H -2.0598 -2.1510 3.3604
H -2.8172 -0.5847 3.7150
H -3.6848 -0.4299 1.3631
H -2.9759 -2.0270 0.9924
H -1.4565 -3.0958 -3.4742
H 0.2025 -3.0766 -4.1456
H -1.1109 -3.2658 -6.0971
H -2.4148 -2.2765 -5.4291
H -0.9295 -1.4931 -6.0196
H 2.4945 -2.9477 1.2246
H 0.9150 -3.1264 0.3652
H 0.9102 -4.5125 2.4458
H 1.2935 -3.0897 3.4248
H -0.2672 -3.1941 2.5759
H -0.0136 0.5504 2.1603
H 1.4353 1.5427 2.0386
H -0.3242 2.9891 2.5346
H -1.4594 2.2102 1.4544
H -0.9455 4.3579 0.5761
H -0.2465 3.1891 -0.5337
H 1.4948 4.3350 1.7092
H 1.0252 5.4076 0.3827
H 3.2545 4.5083 0.0516
H 2.1710 4.0801 -1.2711
H 2.9580 2.1286 0.9869
H 3.7140 2.2489 -0.5987
*
```

Output
E_tot = -35379.7998 eV
SMILES = CCOC(=O)N(/N=C(\[O-])OCC)[C@]1(C(=O)OCC)CCCCCCC1=O
Kohn-Sham gap = 5.871 eV

The computed Mulliken charges, all in e, follow: -1.092, -0.386, -0.046, 0.153, -0.696, 1.974, -1.524, 0.393, -0.776, -0.351, -0.146, -1.159, 2.044, -0.655, -0.654, -0.188, -0.036, -1.047, -1.483, -1.316, -0.817, -0.710, -0.738, -0.729, 0.222, -0.480, 0.402, 0.185, 0.282, 0.317, 0.271, 0.258, 0.254, 0.355, 0.269, 0.292, 0.320, 0.140, 0.423, 0.297, 0.022, 0.607, 0.851, 0.477, 0.242, 0.503, 0.386, 0.300, 0.328, 0.406, 0.301, 0.373, 0.386

----------

C6H11O3S | ωB97M-V/def2-TZVPD

Values from the calculation:
Charge: -1
Energy above the lowest of the compared OMol25 structures with the same formula, charge and spin in kJ/mol: 250.2
HOMO in eV: -3.548
LUMO in eV: 3.35
Frontier orbital gap in eV: 6.9
Calculated total energy in eV: -23375.1027

XYZ file:
```
21
C6H11O3S, DFT ωB97M-V/def2-TZVPD
C -1.20452 0.46821 1.82465
C -0.94836 0.41860 0.53534
C 1.09523 -0.47760 -1.69936
C 1.17522 -1.89003 0.43894
C -2.91760 1.42420 -0.27566
C 1.21751 -0.56097 -0.22451
O 3.69381 -0.31968 0.16921
O 2.51495 1.76624 -0.44940
O -1.68055 0.79656 -0.52789
S 2.55209 0.61070 0.48005
H -2.11379 0.88666 2.26050
H -0.48174 0.10299 2.53289
>>>
Any approach to using nutrition to help manage mental health must include the problem of consumption of sweets. We saw above that too many carbohydrate foods may cause despondency. The carbs include white flour and white sugar, which are the preferred binge or excess foods most people go for. And when people don’t get enough protein or fats, they often end up overconsuming carbohydrates.
But that is not all. Both sugar and artificial sweeteners stress the insulin system and may end up contributing to insulin resistance. From my experience, people with serious mood swings, depressive symptoms, and anxiety, frequently consume considerable amounts of either cakes, cookies, and ice cream, or of soft drinks, both sugared and artificially sweetened. I’ve also known several men who were addicted to diet drinks, and who show mild depressive symptoms.
Such non-foods or low-quality sweet drinks would take the place of more nutritious foods and thereby contribute to both malnutrition and vitamin deficiencies.
Looks like we have a pattern here – all these nutrients seem to cause depression when absent! And depression is now extremely common. According to the website referenced above, the lifetime risk for Major Depressive Disorder is 10% to 25% for women and from 5% to 12% for men. At any point in time, 5% to 9% of women and 2% to 3% of men suffer from this disorder. Vitamin deficiencies are mentioned as one of the organic causes for depression, but, considering that they might be quite common in the junk food culture, I believe that they should be viewed as one of the major contributors to it.
Looking at the big picture with all these elements in mind, it becomes clear that malnutrition can be a major cause of emotional and mental disorders. So here is how to manage your mental health with food, which is easy and cheap:
- Avoid sweet drinks, regular or diet, like the plague. Stick to fruit juice diluted with seltzer or mineral water.
- Avoid foods that contain cane sugar or artificial sweeteners, including breakfast “bars” and snack foods.
-- begin --
No. 1
Here is a structure of composition C27H49Be2BrCaClF4GaN2O9 at a distorted geometry from the OMol25 dataset. Energies are from wB97M-V/def2-TZVPD.

Structure (ORCA input):
```
! wB97M-V def2-TZVPD RIJCOSX def2/J DEFGRID3
* xyz 0 1
C 2.83014 -6.76400 0.56390
O 2.03010 -7.54854 -0.27918
C 2.13483 -7.19457 -1.63851
C 1.62006 -5.77634 -1.94175
C 0.54799 -5.73639 -3.03675
C 0.76951 -4.72504 -4.15329
C 1.40499 -3.43218 -3.69004
Ga 0.28078 -2.31470 -2.35700
C 1.64057 -1.18414 -1.22725
C 2.45835 -2.00163 -0.24560
C 3.77465 -2.49640 -0.79887
O 4.82017 -1.60322 -0.45958
C 6.00864 -2.26657 -0.09828
C -0.85274 -3.34761 -1.05273
C -1.76368 -2.34947 -0.32181
C -1.15758 -1.79013 0.93522
F -0.81643 -0.49095 0.77406
F -2.05137 -1.80733 1.94561
F -0.09225 -2.45474 1.39177
H 2.25619 -5.92184 0.94829
H 3.14420 -7.33889 1.41905
H 3.67673 -6.34287 0.02919
H 1.62266 -7.94343 -2.22158
H 3.18930 -7.24706 -1.91047
H 2.48525 -5.17542 -2.17576
H 1.15381 -5.45818 -1.02136
H 0.54255 -6.74444 -3.55077
H -0.44251 -5.62912 -2.64118
H 1.43564 -5.18782 -4.90069
H -0.16967 -4.50954 -4.65052
H 2.40597 -3.57327 -3.31679
H 1.54435 -2.84049 -4.60204
H -0.72221 -1.30920 -3.18115
H 2.24536 -0.75934 -2.01094
H 1.11678 -0.36725 -0.73394
H 2.67862 -1.36926 0.60198
H 1.90024 -2.85589 0.09991
H 3.99568 -3.45848 -0.35364
H 3.76719 -2.60706 -1.88076
H 6.80944 -1.54723 -0.09503
H 5.91183 -2.67989 0.90076
H 6.25548 -3.07821 -0.77546
H -0.28372 -3.95747 -0.37309
H -1.51046 -3.99320 -1.61085
H -2.06992 -1.54007 -0.96217
H -2.65933 -2.87355 -0.02417
C 2.59872 -1.89616 4.61388
O 3.53535 -1.65093 5.42224
N 1.88916 -3.00680 4.82116
N 2.30012 -1.10487 3.58852
H 1.12710 -3.34669 4.26188
H 2.28084 -3.48260 5.65048
H 2.84926 -0.23642 3.45627
H 1.54330 -1.30660 2.96033
Be 1.60903 0.34359 -2.77670
F 2.64983 1.41083 3.98871
Be 2.45039 -6.99114 -5.22898
C -2.24848 4.66889 2.77139
C -1.03782 4.45849 2.00054
C -0.63432 3.01104 1.82704
O 0.30389 2.66814 1.14582
C -1.43348 2.01753 2.52291
C -2.64114 2.22961 3.30039
C -3.10247 3.66831 3.38454
O -4.12818 3.99494 3.93450
O -3.26116 1.35202 3.84726
O -0.37824 5.34139 1.50904
H -2.59970 5.68917 2.92352
H -1.05685 1.00769 2.41799
Ca 0.58996 -0.50046 -5.08746
Br -0.92956 -8.29536 -3.78998
C -3.20666 3.78802 -3.06747
C -1.84888 3.23784 -2.66849
C -0.89974 4.34492 -2.24327
O -1.27912 2.50113 -3.76858
H -3.10876 4.47123 -3.91552
H -3.87321 2.98207 -3.37390
H -3.66990 4.32672 -2.24204
H -1.96767 2.52378 -1.85414
H -0.73400 5.04448 -3.06717
H 0.07135 3.93594 -1.96397
H -1.29674 4.89962 -1.39439
H -1.16686 3.11695 -4.50027
Cl 4.01735 -3.66684 6.25270
C -4.47044 10.30437 2.24822
C -5.12920 9.18167 1.44818
C -4.16693 8.02643 1.69127
O -3.60439 8.23107 2.98907
C -3.92333 9.54673 3.45099
H -5.15275 11.10458 2.52797
H -3.65089 10.74045 1.67357
H -6.10954 8.94931 1.86838
H -5.25823 9.41008 0.39178
H -3.34897 8.02809 0.96137
H -4.65943 7.05271 1.65955
H -4.67511 9.46095 4.24212
H -3.02964 10.00639 3.87198
*
```

Results
-- stop --
- Eat a well-balanced diet – that means, in every meal, consume vegetables of several colors (cooked and raw), some whole grains like brown rice, barley, quinoa, or whole wheat pasta (for the B vitamins), protein foods such as beans and/or animal foods, and sufficient good quality fats (extra virgin olive oil, coconut oil, organic unsalted butter). You should feel comfortable and sated, but not stuffed, after eating.
- For dessert or the mid-afternoon snack, the occasional piece of ripe organic fruit in season is always a wonderful treat – and when dipped in dark chocolate it might be just what you need!